Activity:
Reproduce the lines underneath from the one with "0.5603" to the one with "this dataset" unchanged.

Given:
Crystalline NiP2 at its relaxed geometry. Source: Alexandria via LeMat-Bulk, functional PBE.

Calculated values
As for the symmetry: I4/mmm (139). For the energy of formation from the pure elements, the calculation gives 0.031 eV per atom. For the electronic total energy, the calculation gives -5.502 eV per atom. For the density of states at the Fermi level, the calculation gives 0.31 states/eV/f.u.

abc: 7.476 7.476 7.476
angles: 160.24 160.24 28.09
Positions (direct):
1 P 0.886 0.886 0.000
2 P 0.114 0.114 0.000
3 Ni 0.500 0.500 0.000

* * * * *

# 1
A plane-wave DFT calculation with PBE was carried out for crystalline Pm2Pr3Tl4 at its relaxed geometry.

Lattice parameters (Å, degrees): 5.4660 5.4656 10.7170 90.02 90.00 60.00
Fractional positions:
1 Pm 0.3330 0.3340 0.7813
2 Pm 0.6670 0.6660 0.2187
3 Pr 0.3336 0.3329 0.4215
4 Pr 0.0000 0.0000 0.0000
5 Pr 0.6664 0.6671 0.5785
6 Tl 0.6665 0.6671 0.8986
7 Tl 0.0003 0.9994 0.3461
8 Tl 0.9997 0.0006 0.6539
9 Tl 0.3335 0.3329 0.1014

Properties
Crystal system ... monoclinic
Energy relative to the lowest polymorph listed for this composition ... 0.0 kJ/mol of formula units
Space group ... No. 12
Calculated formation energy ... -0.32 eV per atom


# 2
A plane-wave DFT calculation with PBE was carried out for crystalline Sm3InAg4S8 at its relaxed geometry.

Lattice parameters (Å, degrees): 8.2631 11.8988 8.3148 132.26 119.79 90.00
Fractional positions:
1 Sm 0.5000 0.5000 0.0000
2 Sm 0.5000 0.5000 0.5000
3 Sm 0.0000 0.5000 0.5000
4 In 0.0000 0.5000 0.0000
5 Ag 0.5000 0.0000 0.0000
6 Ag 0.5000 0.0000 0.5000
7 Ag 0.0000 0.0000 0.0000
8 Ag 0.0000 0.0000 0.5000
9 S 0.2772 0.6868 0.0777
10 S 0.2801 0.6879 0.5603
11 S 0.2140 0.3113 0.4280
12 S 0.8004 0.6868 0.0777
13 S 0.1996 0.3132 0.9223
14 S 0.7860 0.6887 0.5720
15 S 0.7199 0.3121 0.4397
16 S 0.7228 0.3132 0.9223

Properties
Crystal system ... monoclinic
Space group ... No. 12
Uncorrected formation energy ... -1.028 eV/atom


# 3
A plane-wave DFT calculation with PBE was carried out for crystalline LiSeCl3 at its relaxed geometry.

Lattice parameters (Å, degrees): 5.1784 5.1784 5.1784 90.00 90.00 90.00
Fractional positions:
1 Li 0.5000 0.5000 0.5000
2 Se 0.0000 0.0000 0.0000
3 Cl 0.0000 0.5000 0.0000
4 Cl 0.0000 0.0000 0.5000
5 Cl 0.5000 0.0000 0.0000

Properties
Crystal system ... cubic
Energy relative to the lowest polymorph listed for this composition ... 138.4 kJ/mol of formula units
Space group ... No. 221
Uncorrected formation energy ... -0.497 eV/atom


Number 1: calculated density 9.2 g/cm3. Number 2: calculated density 4.6 g/cm3. Number 3: calculated density 2.3 g/cm3.

* * * * *

Below is a relaxed CeSbPb crystal, with properties calculated at the GGA-PBE level.

Unit cell a=4.5564 b=4.4583 c=8.8015 alpha=104.67 beta=90.00 gamma=90.00
With the nearest neighbours (Å) after each atom.
Atoms (fractional coordinates):
Ce1 0.7500 0.9060 0.8120  4 Sb 3.21, 4 Pb 3.47-3.49
Ce2 0.2500 0.0940 0.1880  4 Sb 3.21, 4 Pb 3.47-3.49
Sb1 0.2500 0.4278 0.8556  4 Ce 3.21, 2 Sb 3.35
Sb2 0.7500 0.5722 0.1444  4 Ce 3.21, 2 Sb 3.35
Pb1 0.2500 0.7521 0.5041  4 Pb 3.19, 4 Ce 3.47-3.49
Pb2 0.7500 0.2479 0.4959  4 Pb 3.19, 4 Ce 3.47-3.49

Results
energy above the most stable polymorph in this dataset = 0 meV/atom
total magnetization = 0.7 μB per formula unit
raw formation energy = -0.594 eV per atom
DFT total energy = -31.09 eV for the cell shown

* * * * *

A plane-wave DFT calculation with PBE+U was carried out for a geometry-optimized CrBiO3 structure.

Summary:
Size of the total moment in Bohr magnetons per cell: 24.00

```
data_CrBiO3
_chemical_formula_sum 'Cr8 Bi8 O24'
_symmetry_space_group_name_H-M 'C 1 2/c 1'
_symmetry_Int_Tables_number 15
_cell_length_a 9.636
_cell_length_b 5.588
_cell_length_c 9.762
_cell_angle_alpha 90.00
_cell_angle_beta 108.83
_cell_angle_gamma 90.00
loop_
_symmetry_equiv_pos_as_xyz
'x,y,z'
'-x,-y,-z'
'-x,y,-z+1/2'
'x,-y,z+1/2'
'x+1/2,y+1/2,z'
'-x+1/2,-y+1/2,-z'
'-x+1/2,y+1/2,-z+1/2'
'x+1/2,-y+1/2,z+1/2'
loop_

Done:
10 S 0.2801 0.6879 0.5603
11 S 0.2140 0.3113 0.4280
12 S 0.8004 0.6868 0.0777
13 S 0.1996 0.3132 0.9223
14 S 0.7860 0.6887 0.5720
15 S 0.7199 0.3121 0.4397
16 S 0.7228 0.3132 0.9223

Properties
Crystal system ... monoclinic
Space group ... No. 12
Uncorrected formation energy ... -1.028 eV/atom


# 3
A plane-wave DFT calculation with PBE was carried out for crystalline LiSeCl3 at its relaxed geometry.

Lattice parameters (Å, degrees): 5.1784 5.1784 5.1784 90.00 90.00 90.00
Fractional positions:
1 Li 0.5000 0.5000 0.5000
2 Se 0.0000 0.0000 0.0000
3 Cl 0.0000 0.5000 0.0000
4 Cl 0.0000 0.0000 0.5000
5 Cl 0.5000 0.0000 0.0000

Properties
Crystal system ... cubic
Energy relative to the lowest polymorph listed for this composition ... 138.4 kJ/mol of formula units
Space group ... No. 221
Uncorrected formation energy ... -0.497 eV/atom


Number 1: calculated density 9.2 g/cm3. Number 2: calculated density 4.6 g/cm3. Number 3: calculated density 2.3 g/cm3.

* * * * *

Below is a relaxed CeSbPb crystal, with properties calculated at the GGA-PBE level.

Unit cell a=4.5564 b=4.4583 c=8.8015 alpha=104.67 beta=90.00 gamma=90.00
With the nearest neighbours (Å) after each atom.
Atoms (fractional coordinates):
Ce1 0.7500 0.9060 0.8120  4 Sb 3.21, 4 Pb 3.47-3.49
Ce2 0.2500 0.0940 0.1880  4 Sb 3.21, 4 Pb 3.47-3.49
Sb1 0.2500 0.4278 0.8556  4 Ce 3.21, 2 Sb 3.35
Sb2 0.7500 0.5722 0.1444  4 Ce 3.21, 2 Sb 3.35
Pb1 0.2500 0.7521 0.5041  4 Pb 3.19, 4 Ce 3.47-3.49
Pb2 0.7500 0.2479 0.4959  4 Pb 3.19, 4 Ce 3.47-3.49

Results
energy above the most stable polymorph in this dataset = 0 meV/atom